Saturday, March 26, 2011

Jesus Christ: The son of Mary from an Islamic Perspective

(image courtesy of; original artwork from Serbian monastery Hilander, Mt. Athos)

Jesus Christ, known as Isa in Arabic (peace be upon him) was a miraculous figure in history and a figure of controversy as well. Here I present from various sources who documented the story and history of Jesus from the point of view of Islam and the Quran sent down by Allah (God):

The word "Jesus" is the Latinized name given to him after the Council of Nicaea. His name comes from the Old Semitic name "Eeshua" or "Eesa." This is based on the pronunciation of the letter known as "seen" or in Hebrew "sheen." The Jewish pronounce the word for "peace" as "Shalom;" whereas, the Arabic pronunciation would be "Salam." So we see how the name of "Eesa" can also be "Eeshua."


War just never seems to be far away from the U.S., we just love to either create or go into protracted conflicts just for the heck of it sometimes. Its funny how we only "intervene" when it suits our national interests, for the the so-called "American people," a phrase always used by the suits to drum up supports but always forgotten. We are so far away from what good `ol Abe Lincoln had said, "a government of the people, by the people and for the people."

Whenever a conflict brews, stirs or blows up, we always think about our national interests first at the cost of civilians or the so-called "people." What`s happening in the middle-east right now is a godsend for the people to finally take back control for themselves but the powers at be won`t ever let that happen. From the deposed leaders of Tunisia and Egypt, the U.S.-backed strongmen are gone but new U.S.-backed strongmen will "emerge" to take the spotlight and "lead the people." What the population of the countries where revolution for true change is occurring should realize, is that true leadership must come from within the population taking part in the revolution or consensus of the people, it is only that person that truly understands their country, their people, not some outside dissident who spends his time in Europe or the U.S., their family living abroad in the lap of luxury and etc. Just for example, the revolution in Egypt was spearheaded by the younger class but coalesced into the general population. Weeks afterward, you have the expatriates and dissidents come and try to "lead" the revolution in the hopes of becoming president of the Egypt. For a time, the news networks just couldn`t get enough about Mohammed El-Baradei, former head of the IAEA, because this was a man who the West knew, likes and probably had contacts when he was chief of the IAEA for "special" assignments, missions, documents...etc. and was trying to make him the face of the revolution. Another guy, Amr Moussa, head of the Arab League has aspirations to be president of Egypt as well and again known by the West and off course has extensive contacts through our State Dept. diplomatic core and a favorite to land the job by the standards of our government.

I`ve never a time when heads of state can just call for the ouster of other heads of state with a drop of a dime. As if theres no judge or jury, just the executioner. Now routinely in our culture we just call for the immediate ouster of leaders and even assassinate. I`m ashamed of my fellow people, people who are well-educated journalists, commentators, analysts, talk-show hosts, government officials...etc who openly now call for assassinations or "taking-out" of world leaders. Who could of thought it would all come to this? (John Bolton calls for killing Gadhafi)

Just a brain teaser - lets suppose China, largest holder of U.S. debt, decides America is spiraling out of control both economically and politically and calls for the ouster of the president or government because they can`t effectively govern the country and is a risk to the trillions of dollars China holds in U.S. treasury bonds. Does China have a valid reason to hold the president accountable and call for his release or ouster because it threatens China`s "interests?" Put America in China`s shoes in this context and this is whats going on in the world.

The situation in Libya is dire. On one side our President Obama proclaims its U.S. policy for Col. Gadhafi to go but U.N. policy not so. I don`t know if there is any other bigger blunder than coming from our president. Is our nation the U.S. greater than the U.N. or the rest of the world, if so then why do we even have the U.N. in place? They don`t want an "American" face to the mission and will take a back seat it, I mean really? We all know America is going to be calling the shots and dictating what occurs and what the so-called endgame is. Here we had a guy (Col. Gadhafi) who the whole world "courted" to get lucrative billion-dollar contracts and basically propped-up him and his regime. Now all of a sudden, because of a civil war brewing we are going to intervene because civilians are dead and now he`s fallen out of favor and must go. Killing of any civilians is unjustified and heinous but what about other places where its documented cases of genocide occurring, like Uganda, Nigeria, Chad and Sudan. The world did nothing when the injustices in Sudan were happening, no intervention no nothing. Now all of a sudden "its about protecting the people" and you immediately "enforce a no-fly zone" and start strategically bombing the country so you cripple it just like Iraq under Saddam Hussein. Its funny President Obama has voiced there will be no "boots" on the ground in Libya, but little do people on the outside know there are various ground personnel already in Libya calling in precision-guided air strikes on high-value and strategic targets. When the targets are taken ut oand rendered no threat, attention will immediately turn to the leader and eventually Gadhafi will be taken out, either one way or another. You are not going to be conducting this type of mission and leave the leader in place-everybody knows and its only a matter of time. Also there are teams of soldiers already there and on their way to Libya "for support of humanitarian reasons."

Also, the U.S. as well as other nations are clamoring for Gadhafi to get indicted for war crimes and stand trial in the International Criminal Court (ICC - the same court the U.S. does not recognize but on a drop of dime will push for someone to stand trial in) will not happen in my idea as well as not for Zine bel-Abedin nor Mubarak, because they will divulge secrets and implicate world leaders and governments who have been propping them up for the last 30-40 years. This would be a huge disaster with great implications. The U.S. already has a tarnished image around the world because we in fact act like an overgrown bully, stiff-arming other people to have it only our way or its the highway. With already two disastrous wars ongoing and now entering and spearing the Libyan conflict, I don`t how we can sustain this until we say enough is enough-but most people have been coerced into seeing and believing its "really about the people." Yeah really the people are so important all of a sudden, I guess they weren`t too important when the "all you can eat" lucrative billion-dollar contracts were being signed and doled out while the people were still suffering and dying. Only when the cameras are rolling, oh now we have to do something. Its plausible to think as well that getting the free oil we thought we would get from Iraq didn`t pan out, hey next stop, lets get it from Libya.

In the end its the people who suffer both ways from any outcome. The people of Afghanistan and Iraq after more than 10 years of war, are there lives any better than when we "intervened" for the sake of bringing peace and freedom. Just go ask the people, and I mean the real people of the country, not the ones the camera gets who are polished individuals.

Watch RT`s commentary by Keith Harmon Snow on Why Libya being attacked now: Why Libya? `Oil, gold, uranium, weapons test mean long conflict in U.S. plans`

Wednesday, March 23, 2011


images courtesy of Pivotal and Gotham Games and PS2

Possibly one of the greatest games I ever played on my PS2. Its been so long I`ve played the first and second games (CDSI & CDS II: Back to Baghdad). Viewing recent images of the current Libyan war especially with the night-time sky painted with anti-aircraft fire and burnt out tanks reminded me so much about the Iraq war and the Conflict Desert Storm games.

I just love the squad-based nature of game and the fact you can choose any player to play as well as the co-op mode. I played SOCOM and other shooter games but CDS is a game unto its own, from the superb AI, images, vehicles, weapons...etc its just that awesome to play. From several types of grenades, assortments of rifles & machine guns, rocket launchers and sniping-which is only a few of the items in the game making the overall action and playing experience mezmerizing. I recommend this game if you like tactical shooting or if you want to try a new game genre.

[Inserted here: crystal structures]
********
Here is crystalline NpMo2O8 at its relaxed geometry from the Materials Project. Energies are from GGA+U.

Properties
The value obtained for the formation energy is -2.377 eV/atom. Its symmetry is Pbca (61). For the total energy, the calculation gives -8.043 eV/atom. The energy with MP2020 corrections is -9.124 eV per atom. As for the total magnetization: 24.45 μB per cell.

Unit cell a=9.6939 b=14.4779 c=10.3100 alpha=90.00 beta=90.00 gamma=90.00
With the nearest neighbours (Å) after each atom.
Positions (direct):
Np  0.2229  0.1104  0.0338  8 O 2.30-2.40
Np  0.2229  0.3896  0.5338  8 O 2.30-2.40
Np  0.2771  0.6104  0.0338  8 O 2.30-2.40
Np  0.2771  0.8896  0.5338  8 O 2.30-2.40
Np  0.7229  0.1104  0.4662  8 O 2.30-2.40
Np  0.7229  0.3896  0.9662  8 O 2.30-2.40
Np  0.7771  0.6104  0.4662  8 O 2.30-2.40
Np  0.7771  0.8896  0.9662  8 O 2.30-2.40
Mo  0.0013  0.5594  0.7758  4 O 1.79-1.82
Mo  0.0013  0.9406  0.2758  4 O 1.79-1.82
Mo  0.1814  0.6518  0.3951  4 O 1.79-1.80
Mo  0.1814  0.8482  0.8951  4 O 1.79-1.80
Mo  0.3186  0.1518  0.3951  4 O 1.79-1.80
Mo  0.3186  0.3482  0.8951  4 O 1.79-1.80
Mo  0.4987  0.0594  0.7758  4 O 1.79-1.82
Mo  0.4987  0.4406  0.2758  4 O 1.79-1.82
Mo  0.5013  0.5594  0.7242  4 O 1.79-1.82
Mo  0.5013  0.9406  0.2242  4 O 1.79-1.82
Mo  0.6814  0.6518  0.1049  4 O 1.79-1.80
Mo  0.6814  0.8482  0.6049  4 O 1.79-1.80
Mo  0.8186  0.1518  0.1049  4 O 1.79-1.80
Mo  0.8186  0.3482  0.6049  4 O 1.79-1.80
Mo  0.9987  0.0594  0.7242  4 O 1.79-1.82
Mo  0.9987  0.4406  0.2242  4 O 1.79-1.82
O  0.0019  0.1559  0.0820  1 Mo 1.79
O  0.0019  0.3441  0.5820  1 Mo 1.79
O  0.0936  0.5268  0.1377  1 Mo 1.79
O  0.0944  0.6313  0.8918  1 Mo 1.82
O  0.0944  0.8687  0.3918  1 Mo 1.82
O  0.0936  0.9732  0.6377  1 Mo 1.79
O  0.1124  0.1247  0.8268  1 Mo 1.80
O  0.1124  0.3753  0.3268  1 Mo 1.80
O  0.1195  0.5027  0.6686  1 Mo 1.79
O  0.1195  0.9973  0.1686  1 Mo 1.79
O  0.2296  0.6775  0.2308  1 Mo 1.80
O  0.2296  0.8225  0.7308  1 Mo 1.80
O  0.2354  0.2320  0.5024  1 Mo 1.80
O  0.2354  0.2680  0.0024  1 Mo 1.80
O  0.2376  0.5368  0.4293  1 Mo 1.79
O  0.2376  0.9632  0.9293  1 Mo 1.79
O  0.2624  0.0368  0.4293  1 Mo 1.79
O  0.2624  0.4632  0.9293  1 Mo 1.79
O  0.2646  0.7320  0.5024  1 Mo 1.80
O  0.2646  0.7680  0.0024  1 Mo 1.80
O  0.2704  0.1775  0.2308  1 Mo 1.80
O  0.2704  0.3225  0.7308  1 Mo 1.80
O  0.3805  0.0027  0.6686  1 Mo 1.79
O  0.3805  0.4973  0.1686  1 Mo 1.79
O  0.3876  0.6247  0.8268  1 Mo 1.80
O  0.3876  0.8753  0.3268  1 Mo 1.80
O  0.4064  0.0268  0.1377  1 Mo 1.79
O  0.4056  0.1313  0.8918  1 Mo 1.82
O  0.4056  0.3687  0.3918  1 Mo 1.82
O  0.4064  0.4732  0.6377  1 Mo 1.79
O  0.4981  0.6559  0.0820  1 Mo 1.79
O  0.4981  0.8441  0.5820  1 Mo 1.79
O  0.5019  0.1559  0.4180  1 Mo 1.79
O  0.5019  0.3441  0.9180  1 Mo 1.79
O  0.5936  0.5268  0.3623  1 Mo 1.79
O  0.5944  0.6313  0.6082  1 Mo 1.82
O  0.5944  0.8687  0.1082  1 Mo 1.82
O  0.5936  0.9732  0.8623  1 Mo 1.79
O  0.6124  0.1247  0.6732  1 Mo 1.80
********
[So much for the crystal structures]

I can still remember the sounds of the AK-47 rounds whizzing by, or the sounds of the alarm siren or the Iraqi AI figures cussing us in Arabic. I can still see myself staying up late nights and playing through the early morning working on the various missions and coming up with ways to beat the challenges that arose. The missions were not easy and after several times dying, you would need come up with ways and scenarios to beat the mission. At times I would just be perplexed on many missions and pulling my hair when my squad died when we shouldn`t have or such but it shows to the nature of the game that its unstoppable and unable to take your hands off it.

About the game from the manufacturers:

Conflict Desert Storm
Conflict: Desert Storm lets you take charge of the best known and most feared special operations forces in the world: the elite British SAS or the US Delta Force squads. You're the best trained, best equipped and best organised Special Forces in the world. The area that has been assigned to you is yours for the taking. Seek, locate and destroy enemy targets and personnel. Create havoc and confusion throughout the enemy's lines of communication and supply. What lies before you is an opportunity in a soldier's lifetime. Take your equipment, take your training and use it well. Features included squad-based combat (both alone or co-operatively with friends), 15 missions, and scripted events.
Watch the trailer: CDS 1 trailer
Watch the intro: CDS Intro

Conflict Desert Storm II: Back to Baghdad
Part 2 in the series, Back to Baghdad is a squad-based shooter that picks up right where the first Desert Storm left off. John Bradley, Paul Foley, Mick Connors, and David Jones are back once again to team up and once again take on Saddam's henchmen. Whether it's protecting friendly choppers from enemy fire, the burning oil fields, Iraq's chemical weapons program, or secret superguns, there was apparently enough unfinished business left to serve as the basis for a second game. For the sequel, the developers improved on the team-mate AI and game UI, but the biggest attraction is once again the split-screen co-operative multiplayer for two

Conflict Desert Storm II: Back To Baghdad takes you deep into the combat zone, during the 1991 Desert Storm operation! All-new weapons and vehicles, plus the option to raise your troops' skills and turn them into an unbeatable fighting force!

Only strategy and skill will ensure your survival through frantic firefights, gut-wrenching vehicular combat, and gripping stealth operations. "The Mother of All Battles" is on your console in Gotham Games' Conflict: Desert Storm II - Back to Baghdad. The troops are in position, so lock and load, and get ready to GO LOUD!
Watch the trailer: CDS II trailer
Watch the intro: CDS II Intro

Saturday, March 19, 2011

The Major Signs of the Day of Judgement

(image courtesy of Quran&ModernSci.blogspot)

This is the Day of Reckoning - Powerful Speech HD

And When This Is Taking Place, The Mother Whose Got A Child, She On That Day Will Remember That She Had A Child, Why? Because The Sound Of The Horn, The Sound Of The Horn Is So Terrifying That You Will See Mankind Will Be On A Drunken State But In Reality Will Not Be Drunken, The Hadith Of Abu Hurairah RA Comes To Mind, He Says The Shaytan And His Army Will Begin To Run And They Will Begin To Hide, They Will Begin To Run And They Will Begin To Hide, The Quran Says: On That Day There Is No Refuge, He Will Look Above The People And What Will They See? They Will See The Sky Will Look Like The Black Filth Of Oil, It Will Crack Piece By Piece, The Earth Beneath Them, It Will Crack Piece By Piece, The Ocean Will Be On Fire That Day And They Will Explode From Their Places, Allahu Akbar Picture This In Your Mind, That The Ocean, They Will Be On Fire And They Will Explode From Their Places, The Stars Will Lose Their Shine And They Will Come Crushing Down, And There Will Be Darkness Everywhere And When There Is Darkness Everywhere, Nothing Will Remain, Every Single Thing In The Universe Will Come To An End. The Hadith Of Abu Huraira Says: That The Angel Of Death It Will Say To Allah, O Allah, All Those That Are In The Heaven And All Those Are In The Dunya They Have Come To An End Except For Thos Who You Wish To Remain Alive O Allah, Allah Will Say, Who Remains? And The Angel Will Say: O Allah, Jibrail Remains, Mikail Remains, Israfil Remains And The Angel That Are Carrying Your Throne, They Remain, Allah The Almighty Will Say: Let Death Come To Jibrail, Let Death Come To Mikail, Let Death Come To Israfil And Let Death Come To All Those Angel Who Are Carrying My Throne, Then Allah Will Say: Who Remains? Ya Allah Knows Who Remains, Allah Will Say To The Angel Of Death, Who Remains? And The Angel Will Say, O Allah: I Remain, You Remain, No One Else Remains And Then Allah Will Say, I Created You For A Purpose, You Have Fulfilled Your Purpose, You Also Die And He Will Die. And The Allah The Almighty, He Will Roll Up All The Heavens In His Hand, He Will Roll Up All The World In His Hand And Allah Will Raise His Voice And Allah Will Say: I Am The Almighty Allah, I Am The Almighty Allah, For Whom Is The Devine Rule Today, For Whom Is The Power Today, For Whom Is The Kingdom Today, I Am The King Of All Kings, Where Are Your Dictators? Where Are Your Oppressors? No One Will Answer, Allah Himself Will Answer And Allah Will Say: Power Is For Allah, Might Is For Allah, The One The Only, The Irresistible.

Now It's Time For Muhammad SAW, He Will Open The Gates Of Jannah For People Who Will Enter Jannah And People Will Enter In The Thousands, In The Millions And The Others They Will Be In The Fire Of Hell, I Pray To The Almighty Allah That Allah Makes Us From Those People Who Receive Their Records In Our Right Hand As I Pray To The Almighty Allah That Allah Forgives Me, Why? Justice Has Not Been Done To this Title.

Lecturer: Muhammad Abdul Jabbar


Iraq, The Gulf Wars and The Saddam Legacy

(image courtesy of Haaretz)

The Ghost of Saddam Hussein

Hostilities with Iraq are not a thing of the past, says one general, and Saddam may not be as far gone as we think - Haaretz

The US is pumping billions of dollars into regenerating Iraq. But with thousands there still living below the poverty line, many have yet to see any improvement in living standards. As RT's Sebastian Myer reports, some are forced to live in dumping grounds, scavenging through waste just to earn a few dollars - RT News, RTYouTube

by: Michael R. Gordon, NYT, 01/19/2011
An Iraqi archive kept classified until now reveals how Saddam Hussein attempted to win Soviet support before the first American war with Iraq

Tony Benn`s Interview with Saddam Hussein - Feb. 4, 2003
Historic Interview by British Politician Tony Benn with Saddam Hussein. In an attempt to avert the upcomming War Tony Benn asks the questions raised by the UK and the USA. Saddams answers to the questions are VERY intriguing and it is no surpise that this interview was all but buried as the rush to war gathered Momentum. - setfree68

Rarely seen video footage about the history of Saddam and his family - LatifYahia

A story about Ala Bashir, Saddam's personal doctor and surgeon for 22 years, shares his great personal insight into the life of the Iraqi leader and surprising details unknown to the outside world. - JourneymanPictures

The man who iconically brought down the Saddam statue in Firdous Square now says he regrets his actions and explains why he wishes "Saddam remained in power!" The mainstream media used his image and actions as a cornerstone of the Iraq War but never did they broadcast this fact to the general public. - JourneymanPictures

New details have emerged about Saddam Hussein, the former Iraqi president, after the FBI released secret interview notes taken while he was in US custody. According to the FBI, Saddam misled the world into believing Iraq had weapons of mass destruction because he considered Iran - not the US - as the biggest security threat to his country. - AlJazeeraEnglish

Saddam`s Confessions (video)
CBS 60 Minutes special interview with George Pirro, the FBI agent who interrogated Saddam shares his insight and personal perspective to the information gleaned by his encounter with Iraqi leader. Saddam Hussein confesses about not having any WMDs and disliking who he labeled a "fanatic" Osama bin Laden. In his first television interview, George Piro tells Scott Pelley how he won the confidence of Saddam Hussein and got the truth out of him in a seven-month interrogation.
- Part 1
- Part 2
Read Related CBS 60Minutes Story: Interrogator Shares Saddam`s Confessions

LYNCHING SADDAM by Gabriele Zamparini (Special Section on the Trial of President Saddam Hussein)

Moon Has a Liquid Core, Suggests Apollo Era Seismic Sensors

(image courtesy of

More than 40 years after Apollo astronauts left seismic sensors on the lunar surface, the data being emitted from them compiled with contemporary seismological techniques helped to determine that the moon now is believed to have a solid iron-rich inner core and a fluid, primarily liquid-iron outer core. The new research seems to show the moon could have had its own magnetic field, an evolved lunar dynamo. The lunar core contains light elements like sulfur, which in fact our Earth also contains in a layer around our own core shedding more truth that the moon and Earth in fact my be related. The research was published on the online edition of journal Science.